NAVFAC P-8-622-12
a. Low Pressure System (see Schematic figure
(1) Fuel pump may draw fuel from an external
source to fill set tank or set tank may be filled man-
~~~
1.
Material: MnB2H8
Method: DFT, GGA-PBE
State: relaxed

Properties
M_tot = 5.00 μB per formula unit

Cell: 8.2181 8.2181 8.2181 Å, 124.97 124.97 81.59°
Closest atoms and distances in Å follow each position.
Fractional positions:
H  0.2565  0.4980  0.9996  1 B 1.23
H  0.2516  0.9931  0.4996  1 B 1.23
H  0.2127  0.3830  0.6849  1 B 1.23
H  0.0069  0.5065  0.2584  1 B 1.23
H  0.2480  0.7484  0.7416  1 B 1.23
H  0.5519  0.3670  0.3297  1 B 1.23
H  0.5069  0.2484  0.5004  1 B 1.23
H  0.2778  0.4627  0.3297  1 B 1.23
H  0.7431  0.7435  0.2416  1 B 1.23
H  0.1170  0.2873  0.3151  1 B 1.23
H  0.0519  0.7222  0.1849  1 B 1.23
H  0.9722  0.8019  0.6849  1 B 1.23
H  0.2431  0.0016  0.9996  1 B 1.23
H  0.6170  0.3019  0.8297  1 B 1.23
H  0.1330  0.9481  0.6703  1 B 1.23
H  0.7778  0.4481  0.8151  1 B 1.23
H  0.0373  0.2222  0.6703  1 B 1.23
H  0.4722  0.7873  0.1703  1 B 1.23
H  0.7516  0.2520  0.2584  1 B 1.23
H  0.7565  0.7569  0.7584  1 B 1.23
H  0.5373  0.8670  0.8151  1 B 1.23
H  0.4984  0.2569  0.0004  1 B 1.23
H  0.6981  0.5278  0.3151  1 B 1.23
H  0.0020  0.2435  0.0004  1 B 1.23
H  0.6330  0.9627  0.1849  1 B 1.23
H  0.4935  0.7520  0.5004  1 B 1.23
H  0.9935  0.4931  0.7416  1 B 1.23
H  0.7127  0.0278  0.8297  1 B 1.23
H  0.5020  0.5016  0.7584  1 B 1.23
H  0.7480  0.0065  0.4996  1 B 1.23
H  0.9984  0.9980  0.2416  1 B 1.23
H  0.1981  0.8830  0.1703  1 B 1.23
B  0.6250  0.8526  0.7276  4 H 1.23
B  0.6474  0.8750  0.2724  4 H 1.23
B  0.1250  0.8974  0.2724  4 H 1.23
B  0.1250  0.3974  0.7724  4 H 1.23
B  0.1474  0.8750  0.7724  4 H 1.23
B  0.6250  0.3526  0.2276  4 H 1.23
B  0.1026  0.3750  0.2276  4 H 1.23
B  0.6026  0.3750  0.7276  4 H 1.23
Mn  0.0000  0.5000  0.5000  8 H 2.05-2.10
Mn  0.7500  0.7500  0.0000  8 H 2.05-2.10
Mn  0.5000  0.0000  0.5000  8 H 2.05-2.10
Mn  0.2500  0.2500  0.0000  8 H 2.05-2.10

=====

2.
Material: Na2LiLuCl6
Method: DFT, GGA-PBE
State: relaxed

Properties
M_tot = 0.00 μB per formula unit

Cell: 7.1783 7.1783 7.1783 Å, 60.00 60.00 60.00°
Closest atoms and distances in Å follow each position.
Fractional positions:
Cl  0.7480  0.2520  0.7480  1 Li 2.52, 1 Lu 2.56
Cl  0.2520  0.2520  0.7480  1 Li 2.52, 1 Lu 2.56
Cl  0.7480  0.7480  0.2520  1 Li 2.52, 1 Lu 2.56
Cl  0.2520  0.7480  0.7480  1 Li 2.52, 1 Lu 2.56
Cl  0.7480  0.2520  0.2520  1 Li 2.52, 1 Lu 2.56
Cl  0.2520  0.7480  0.2520  1 Li 2.52, 1 Lu 2.56
Na  0.7500  0.7500  0.7500  12 Cl 3.59
Na  0.2500  0.2500  0.2500  12 Cl 3.59
Lu  0.0000  0.0000  0.0000  6 Cl 2.56
Li  0.5000  0.5000  0.5000  6 Cl 2.52

=====

3.
Material: Sc6CdTe2
Method: DFT, GGA-PBE
State: relaxed

Properties
M_tot = 0.00 μB per formula unit

Cell: 3.9316 20.4921 10.8939 Å, 90.00 90.00 90.00°
Closest atoms and distances in Å follow each position.
Fractional positions:
Sc  0.7500  0.2309  0.2401  4 Te 2.96-3.18, 2 Sc 3.31
Sc  0.2500  0.3628  0.0591  4 Te 2.99-3.03, 2 Sc 3.27
Sc  0.2500  0.6090  0.1753  2 Cd 2.93, 1 Te 2.95, 4 Sc 3.16-3.27
~~~
ually. If an external fuel source is selected, a float
valve assembly in the set tank maintains the fuel
level in the tank. Two other fuel pumps (in series)
draw fuel from the set tank and force the fuel through
a primary strainer, two filters, and a check valve
assembly, to the injection pump.
b. High Pressure System.
(1) Fuel tnjection pump forces the fuel, under
high pressure, to the fuel injection nozzles. The in-
jection nozzles provide fuel to each combustion
chamber of the engine. Unused fuel is returned from
the injectors to the fuel tank. A cam and gear on the
camshaft drives the fuel injection pump. The gear
drives the pump face gear, providing fuel distribution
to each cylinder in the proper order. The cam oper-
ates the pump plunger, pressurizing fuel to the noz-
zles. A control sleeve meters fuel by controlling the
length of time the plunger spill port is closed, main-
taining pressure, and therefore, the amount of fuel
delivered in each stroke. The pintle type injection
nozzles are conventional inward opening with ad-
justable opening pressure. They are factory adjusted
t o open at 1900 to 1950 psi.
a. Inspection on Equipment. Refer to paragraph
b. Removal (see figure 4-7). Drain fuel into suitable container
by opening drain valve. Tag and disconnect fuel hoses from fuel
tank fittings. Disconnect electrical lead from electrical connector
(10). Remove nut (1) and flatwasher (2) from straps (3) on outside
of fuel tank. Remove tank from skid-base. On ASK equipped
generators, remove top panel, left side panel and side closure
(Refer to paragraphs 5-4, 5-5, and 5-12).
c. Disassembly.
(1) Fuel Level Gauge. Unscrew and remove fuel
level gauge (5) using tools only on the hex portion of
the gauge.
(2) Float Switch. Unscrew collar and disconnect
electrical connector (10) if not previously discon-
nected. Unscrew and remove float switch (6) using
tools only on the square portions of the switch.
(3) Unscrew and remove fittings (7).
(4) Holding pipe adapter (11) with a wrench, un-
screw and remove drain valve (8).
Change 7
(5) Loosen filler cap and remove filler cap (4) and
strainer (5).
d. Cleaning and Inspection.
(1) Tank. Clean tank exterior using suitable sol-
vent and clean cloth and brush. Inspect tank for
signs of physical damage. If damaged refer to higher
level of maintenance.
(2) Fuel Level Gauge. Check that fuel level gauge
face is clean and readable. Check that as cork float
is moved up and down, the meter movement rotates.
(3) Float Switch. Inspect terminal connector for
damage to threads. Check to see that float slides on
shaft without binding. Clean with suitable solvent if
(4) Fittings. Inspect fittings for good leak-free
seating on tank and check threads for physical damage.
(5) Fuel Drain Valve Assembly. Check that drain
valve does not leak and threads for physical damage.
e. Test.
(1) Float Switch. Remove float switch (6) from
tank (9). Using an ohmmeter, check for continuity
between terminals A and B of Switch (see figure
4-8). Switch should show no continuity when float is
up. Switch should close when float drops to 2-7/8
±3/16 inch from threaded collar of float switch. Re-
place switch if it does not operate properly.
(2) Tank. If tank shows signs of physical dam-
age or leaks refer to higher level of maintenance.
f. Reassembly (see figure 4-7).
(1) Fuel Drain Valve. Engage threads of fuel
┌──
This record from Materials Project describes crystalline H32RuC8N4Cl7 at its relaxed geometry. The functional is PBE.

Output
**Size of the total moment**: 2.00 μB/cell
**Formation enthalpy at 0 K**: -0.425 eV per atom
**Crystal system**: orthorhombic
**Total energy**: -4.92 eV per atom

CIF file:
```
data_H32RuC8N4Cl7
_chemical_formula_sum 'H64 Ru2 C16 N8 Cl14'
_cell_length_a 10.270
_cell_length_b 12.932
_cell_length_c 8.850
_cell_angle_alpha 90.00
_cell_angle_beta 90.00
_cell_angle_gamma 90.00
_space_group_name_H-M_alt 'P 21 21 2'
_space_group_IT_number 18
loop_
_space_group_symop_operation_xyz
'x,y,z'
'-x,-y,z'
'x+1/2,-y+1/2,-z'
'-x+1/2,y+1/2,-z'
loop_
_atom_site_label
_atom_site_fract_x
_atom_site_fract_y
_atom_site_fract_z
H1 0.017 0.161 0.322
H2 0.030 0.159 0.601
H3 0.073 0.607 0.109
H4 0.087 0.945 0.610
H5 0.098 0.944 0.325
H6 0.117 0.827 0.708
H7 0.137 0.740 0.475
H8 0.139 0.827 0.232
H9 0.153 0.483 0.099
H10 0.163 0.752 0.953
H11 0.177 0.059 0.048
H12 0.178 0.574 0.864
H13 0.180 0.235 0.963
H14 0.198 0.228 0.164
H15 0.230 0.588 0.194
H16 0.239 0.840 0.480
Ru1 0.000 0.500 0.580
C1 0.073 0.862 0.607
C2 0.086 0.860 0.327
C3 0.167 0.567 0.099
C4 0.244 0.211 0.055
N1 0.141 0.820 0.471
N2 0.232 0.598 0.956
Cl1 0.000 0.000 0.988
Cl2 0.074 0.386 0.775
Cl3 0.075 0.380 0.394
Cl4 0.210 0.584 0.575
```

This record from Materials Project describes crystalline SnH10C3SN3Cl2 at its relaxed geometry. The functional is PBE.

Output
**Size of the total moment**: 4.11 μB/cell
**Formation enthalpy at 0 K**: -0.271 eV per atom
**Crystal system**: monoclinic
**Total energy**: -5.11 eV per atom

CIF file:
```
data_SnH10C3SN3Cl2
_chemical_formula_sum 'Sn4 H40 C12 S4 N12 Cl8'
_cell_length_a 13.849
_cell_length_b 6.368
_cell_length_c 13.795
_cell_angle_alpha 90.00
_cell_angle_beta 109.24
_cell_angle_gamma 90.00
_space_group_name_H-M_alt 'P 1 2/c 1'
_space_group_IT_number 13
loop_
_space_group_symop_operation_xyz
'x,y,z'
'-x,-y,-z'
'-x,y,-z+1/2'
'x,-y,z+1/2'
loop_
_atom_site_label
_atom_site_fract_x
_atom_site_fract_y
_atom_site_fract_z
Sn1 0.179 0.154 0.046
H1 0.063 0.385 0.887
H2 0.075 0.169 0.178
H3 0.076 0.123 0.845
H4 0.159 0.394 0.200
H5 0.179 0.309 0.864
H6 0.208 0.140 0.249
H7 0.306 0.433 0.591
H8 0.416 0.235 0.356
H9 0.438 0.044 0.863
H10 0.469 0.468 0.124
C1 0.116 0.257 0.890
C2 0.151 0.224 0.186
C3 0.436 0.148 0.106
S1 0.346 0.047 0.574
N1 0.312 0.408 0.084
N2 0.408 0.354 0.106
N3 0.465 0.109 0.369
Cl1 0.111 0.216 0.523
Cl2 0.398 0.391 0.844
```

This record from Materials Project describes crystalline SbH6CN3Cl6 at its relaxed geometry. The functional is PBE.

Output
**Size of the total moment**: 0.00 μB/cell
**Formation enthalpy at 0 K**: -0.750 eV per atom
**Crystal system**: triclinic
**Total energy**: -4.64 eV per atom

CIF file:
```
data_SbH6CN3Cl6
_chemical_formula_sum 'Sb2 H12 C2 N6 Cl12'
_cell_length_a 7.710
_cell_length_b 7.892
_cell_length_c 14.172
_cell_angle_alpha 94.56
_cell_angle_beta 104.24
_cell_angle_gamma 113.95
└──
drain valve assembly (8) 1/2 turn into fuel tank
adapter (11). Coat threads with sealing compound
MIL-S-22473. Tighten valve assembly into adapter
(2) Fittings. Engage threads of fitting (7) l/2 turn
into fuel tank (9). Coat threads with sealing com-
pound MIL-S-22473. Tighten fittings into tank. Fit-
tings should face Generator Set for proper connection
of fuel lines. Attach fuel lines to fittings.
(3) Float Switch. Engage threads of float switch
(6) 1/2 turn into tank (9). Coat threads with sealing
compound MIL-S-22473. Tighten float switch (6) into
tank using tools only on square portion of switch. At-
tach electrical lead to connector (10) on top of float
switch and tighten.